File =
<<<
# 1
! PBE LaY2Ru, relaxed; values from VASP
! **Calculated total energy**: -6.95 eV per atom
! **Magnetic moment**: 0.0000 μB per atom
&SYSTEM
  ibrav = 0, nat = 4, ntyp = 3
/
ATOMIC_SPECIES
Y 88.91 Y.upf
La 138.91 La.upf
Ru 101.07 Ru.upf
CELL_PARAMETERS angstrom
6.323 0.006 -0.023
5.244 3.534 -0.023
2.358 0.722 4.907
ATOMIC_POSITIONS crystal
Y 0.944 0.944 0.064
La 0.556 0.556 0.453
Ru 0.249 0.249 0.223
Y 0.752 0.752 0.760

---

# 2
! PBE Na3CrRh3S8, relaxed; values from VASP
! **Formation energy (no corrections)**: -0.694 eV/atom
! **Magnetic moment**: 0.1593 μB per atom
&SYSTEM
  ibrav = 0, nat = 15, ntyp = 4
/
ATOMIC_SPECIES
Na 22.99 Na.upf
S 32.06 S.upf
Cr 52.00 Cr.upf
Rh 102.91 Rh.upf
CELL_PARAMETERS angstrom
-0.753 -4.344 -5.624
5.919 -0.322 3.995
-6.495 -2.751 2.995
ATOMIC_POSITIONS crystal
Na 0.000 0.500 0.000
S 0.769 0.538 0.308
S 0.271 0.542 0.313
Cr 0.000 0.000 0.500
S 0.231 0.462 0.692
S 0.730 0.961 0.692
Rh 0.500 0.000 0.500
S 0.231 0.961 0.692
Na 0.000 0.000 0.000
S 0.729 0.458 0.687
S 0.769 0.039 0.308
Rh 0.500 0.500 0.500
S 0.270 0.039 0.308
Rh 0.000 0.500 0.500
Na 0.500 0.500 0.000

---

# 3
! PBE Li2Cd8Rh3, relaxed; values from VASP
! **Calculated total energy**: -2.60 eV per atom
! **Magnetic moment**: 0.0000 μB per atom
&SYSTEM
  ibrav = 0, nat = 13, ntyp = 3
/
ATOMIC_SPECIES
Cd 112.41 Cd.upf
Li 6.94 Li.upf
Rh 102.91 Rh.upf
CELL_PARAMETERS angstrom
4.557 0.000 0.000
0.000 7.729 -4.272
0.000 -0.528 7.723
ATOMIC_POSITIONS crystal
Cd 0.500 0.867 0.257
Cd 0.000 0.871 0.734
Li 0.500 0.249 0.478
Rh 0.000 0.761 0.005
Cd 0.500 0.383 0.230
Cd 0.000 0.129 0.266
Cd 0.000 0.618 0.248
Cd 0.500 0.617 0.770
Cd 0.000 0.382 0.752
Rh 0.000 0.239 0.995
Cd 0.500 0.133 0.743
Li 0.500 0.751 0.522
Rh 0.500 0.000 0.000

---

# 4
! PBE LiPaZnO4, relaxed; values from VASP
! **Formation energy (no corrections)**: -2.548 eV/atom
! **Magnetic moment**: 0.0000 μB per atom
&SYSTEM
  ibrav = 0, nat = 14, ntyp = 4
/
ATOMIC_SPECIES
O 16.00 O.upf
Zn 65.41 Zn.upf
Pa 231.04 Pa.upf
Li 6.94 Li.upf
CELL_PARAMETERS angstrom
6.093 0.000 0.000
-3.046 5.610 -0.740
0.000 -3.686 6.062
ATOMIC_POSITIONS crystal
O 0.739 0.478 0.698
O 0.288 0.022 0.761
Zn 0.500 0.500 0.500
O 0.712 0.978 0.239
Pa 0.500 0.000 0.000
Li 0.129 0.259 0.879
O 0.261 0.522 0.302
Zn 0.000 0.500 0.500
Pa 0.500 0.000 0.500
O 0.261 0.522 0.720
O 0.266 0.978 0.239
O 0.734 0.022 0.761
Li 0.871 0.741 0.121
O 0.739 0.478 0.280

---

# 5
! PBE BaCdPb, relaxed; values from VASP
! **Calculated total energy**: -2.58 eV per atom
! **Magnetic moment**: 0.0000 μB per atom
&SYSTEM
  ibrav = 0, nat = 6, ntyp = 3
/
ATOMIC_SPECIES
Cd 112.41 Cd.upf
Pb 207.20 Pb.upf
Ba 137.33 Ba.upf
CELL_PARAMETERS angstrom
6.518 -0.135 -0.094
0.168 6.536 -0.086
-2.800 3.702 4.618
ATOMIC_POSITIONS crystal
Cd 0.184 0.715 0.654
Pb 0.684 0.715 0.654
Ba 0.562 0.087 0.904
Cd 0.184 0.215 0.154
Ba 0.805 0.344 0.404
Pb 0.184 0.716 0.154

---

# 6
! PBE Zr2ScCr, relaxed; values from VASP
! **Calculated total energy**: -8.04 eV per atom
! **Magnetic moment**: 0.6727 μB per atom
&SYSTEM
  ibrav = 0, nat = 4, ntyp = 3
/
ATOMIC_SPECIES
Sc 44.96 Sc.upf
Zr 91.22 Zr.upf
Cr 52.00 Cr.upf
CELL_PARAMETERS angstrom
4.382 0.197 0.000
-0.194 4.382 0.000
0.000 0.000 4.390
ATOMIC_POSITIONS crystal
Sc 0.000 0.500 0.500
Zr 0.000 0.000 0.000
Cr 0.500 0.000 0.500
Zr 0.500 0.500 0.000

---

# 7
! PBE Ba4Bi3PbO12, relaxed; values from VASP
! **Formation energy (no corrections)**: -1.766 eV/atom
! **Magnetic moment**: 0.0000 μB per atom
&SYSTEM
  ibrav = 0, nat = 20, ntyp = 4
/
ATOMIC_SPECIES
Bi 208.98 Bi.upf
O 16.00 O.upf
Ba 137.33 Ba.upf
Pb 207.20 Pb.upf
CELL_PARAMETERS angstrom
7.634 0.000 0.000
-2.545 7.197 0.000
-2.545 -3.599 6.233
ATOMIC_POSITIONS crystal
Bi 0.500 0.500 0.000
O 0.750 0.250 0.500
O 0.250 0.500 0.750
Ba 0.500 0.000 0.000
O 0.750 0.500 0.250
O 0.750 0.750 0.000
Ba 0.000 0.000 0.500
O 0.250 0.750 0.500
Pb 0.000 0.000 0.000
O 0.500 0.750 0.250
Bi 0.000 0.500 0.500
O 0.250 0.250 0.000
O 0.500 0.250 0.750
O 0.000 0.250 0.250
>>>

Wanted =
It remains to print every line further up that contains the word "La".

Worked solution =
La 138.91 La.upf
La 0.556 0.556 0.453